For Ti6CoPb, a DFT-relaxed cell (GGA-PBE, Alexandria) gives the simulated powder XRD pattern in this record (a wavelength of 1.5418 Å).

Peak list (10 most intense, 10 to 90 degrees two-theta, in order of rising 2θ)
hkl, d (Å), intensity
1 0 1, 4.907, 34
1 1 0, 4.440, 75
0 1 2, 2.944, 77
2 1 1, 2.644, 84
2 2 0, 2.220, 80
1 2 2, 2.147, 100
3 1 2, 1.772, 24
2 2 3, 1.535, 21
2 1 4, 1.397, 18
5 0 2, 1.385, 18

Atomic structure:
a = 8.8793 Å, b = 8.8793 Å, c = 6.3732 Å
α = 90.00°, β = 90.00°, γ = 120.00°
Space group R-3m (No. 166, hexagonal axes)
Unique sites:
Ti (0.0482, 0.5241, 0.2986)
Co (0.0000, 0.0000, 0.5000)
Pb (0.0000, 0.0000, 0.0000)

Your job: retype only the lines above with the word "hexagonal" in them.

Space group R-3m (No. 166, hexagonal axes)